Write out the calculation results further below verbatim.

┌──
A plane-wave DFT calculation with GGA+U was carried out for an optimized crystal structure of Li4TiCo5O12.

Unit cell a=5.0000 b=5.0147 c=20.1628 alpha=90.26 beta=90.51 gamma=118.39
Space group P1 (No. 1)
Asymmetric unit:
Li1 0.0000 0.0000 0.0000
Li2 0.0009 0.0197 0.5017
Li3 0.2773 0.2826 0.7551
Li4 0.2795 0.2708 0.2539
Li5 0.5000 0.4991 0.9992
Li6 0.5117 0.5082 0.5016
Li7 0.7688 0.7806 0.2531
Li8 0.7762 0.7839 0.7550
Ti1 0.1239 0.6429 0.1273
Ti2 0.1392 0.6468 0.6277
Co1 0.3008 0.4819 0.3775
Co2 0.3019 0.4808 0.8774
Co3 0.4711 0.3124 0.1271
Co4 0.4725 0.3109 0.6284
Co5 0.6378 0.1453 0.3775
Co6 0.6376 0.1451 0.8774
Co7 0.8004 0.9821 0.1261
Co8 0.8034 0.9806 0.6283
Co9 0.9728 0.8095 0.8774
Co10 0.9741 0.8088 0.3776
O1 0.1040 0.9550 0.1835
O2 0.1049 0.9567 0.6837
O3 0.1612 0.3233 0.0728
O4 0.1735 0.3377 0.5725
O5 0.3084 0.1517 0.9264
O6 0.3096 0.8178 0.8309
O7 0.3213 0.8301 0.3292
O8 0.3291 0.1631 0.4303
O9 0.4496 0.6119 0.6837
O10 0.4563 0.6200 0.1805
O11 0.4690 0.9832 0.0792
O12 0.4760 0.9846 0.5799
O13 0.6198 0.4546 0.3249
O14 0.6309 0.4748 0.8285
O15 0.6439 0.8153 0.9264
O16 0.6559 0.8364 0.4303
O17 0.8002 0.3244 0.1769
O18 0.8008 0.3080 0.6762
O19 0.8281 0.6674 0.0687
O20 0.8290 0.6819 0.5726
O21 0.9465 0.1279 0.3248
O22 0.9535 0.4602 0.4260
O23 0.9654 0.4726 0.9238
O24 0.9665 0.1385 0.8285

Computed properties:
- energy of formation (meV per atom) = -1788.9
- E_tot (eV per atom) = -6.06

~~~~~

Entry 1:
The following is a r²SCAN calculation of a geometry-optimized K3P6N11 structure, from Materials Project.

Lattice parameters (Å, degrees): 10.3930 10.3930 10.3930 90.00 90.00 90.00
With the nearest neighbours (Å) after each atom.
Fractional coordinates of all 80 atoms:
K: 0.0009 0.4991 0.5009  6 N 2.76-2.98
K: 0.1250 0.6250 0.8750  8 N 3.09-3.28
K: 0.2491 0.2509 0.7491  6 N 2.76-2.98
K: 0.2509 0.7491 0.2491  6 N 2.76-2.98
K: 0.3750 0.3750 0.3750  8 N 3.09-3.28
K: 0.4991 0.5009 0.0009  6 N 2.76-2.98
K: 0.5009 0.0009 0.4991  6 N 2.76-2.98
K: 0.6250 0.8750 0.1250  8 N 3.09-3.28
K: 0.7491 0.2491 0.2509  6 N 2.76-2.98
K: 0.7509 0.7509 0.7509  6 N 2.76-2.98
K: 0.8750 0.1250 0.6250  8 N 3.09-3.28
K: 0.9991 0.9991 0.9991  6 N 2.76-2.98
P: 0.0336 0.8221 0.5514  4 N 1.58-1.71
P: 0.0514 0.4664 0.1779  4 N 1.58-1.71
P: 0.0721 0.2164 0.3014  4 N 1.58-1.71
P: 0.1779 0.0514 0.4664  4 N 1.58-1.71
P: 0.1986 0.9279 0.7164  4 N 1.58-1.71
P: 0.2164 0.3014 0.0721  4 N 1.58-1.71
P: 0.2836 0.6986 0.5721  4 N 1.58-1.71
P: 0.3014 0.0721 0.2164  4 N 1.58-1.71
P: 0.3221 0.9486 0.9664  4 N 1.58-1.71
P: 0.4279 0.7836 0.8014  4 N 1.58-1.71
P: 0.4486 0.5336 0.6779  4 N 1.58-1.71
P: 0.4664 0.1779 0.0514  4 N 1.58-1.71
P: 0.5336 0.6779 0.4486  4 N 1.58-1.71
P: 0.5514 0.0336 0.8221  4 N 1.58-1.71
P: 0.5721 0.2836 0.6986  4 N 1.58-1.71
P: 0.6779 0.4486 0.5336  4 N 1.58-1.71
P: 0.6986 0.5721 0.2836  4 N 1.58-1.71
P: 0.7164 0.1986 0.9279  4 N 1.58-1.71
P: 0.7836 0.8014 0.4279  4 N 1.58-1.71
P: 0.8014 0.4279 0.7836  4 N 1.58-1.71
P: 0.8221 0.5514 0.0336  4 N 1.58-1.71
P: 0.9279 0.7164 0.1986  4 N 1.58-1.71
P: 0.9486 0.9664 0.3221  4 N 1.58-1.71
P: 0.9664 0.3221 0.9486  4 N 1.58-1.71
N: 0.0137 0.3551 0.2786  2 P 1.58-1.61
N: 0.0286 0.6051 0.2363  2 P 1.58-1.61
N: 0.0464 0.9536 0.4536  3 P 1.71
N: 0.0527 0.8750 0.6973  2 P 1.62
N: 0.1051 0.2637 0.9714  2 P 1.58-1.61
N: 0.1250 0.1973 0.4473  2 P 1.62
N: 0.1449 0.7214 0.5137  2 P 1.58-1.61
N: 0.1973 0.4473 0.1250  2 P 1.62
N: 0.2036 0.2036 0.2036  3 P 1.71
N: 0.2214 0.9863 0.8551  2 P 1.58-1.61
N: 0.2363 0.0286 0.6051  2 P 1.58-1.61
N: 0.2637 0.9714 0.1051  2 P 1.58-1.61
N: 0.2786 0.0137 0.3551  2 P 1.58-1.61
N: 0.2964 0.7964 0.7036  3 P 1.71
N: 0.3027 0.5527 0.6250  2 P 1.62
N: 0.3551 0.2786 0.0137  2 P 1.58-1.61
N: 0.3750 0.8027 0.9473  2 P 1.62
N: 0.3949 0.7363 0.4714  2 P 1.58-1.61
N: 0.4473 0.1250 0.1973  2 P 1.62
N: 0.4536 0.0464 0.9536  3 P 1.71
N: 0.4714 0.3949 0.7363  2 P 1.58-1.61
N: 0.4863 0.6449 0.7786  2 P 1.58-1.61
N: 0.5137 0.1449 0.7214  2 P 1.58-1.61
N: 0.5286 0.8949 0.7637  2 P 1.58-1.61
└──

A plane-wave DFT calculation with GGA+U was carried out for an optimized crystal structure of Li4TiCo5O12.

Unit cell a=5.0000 b=5.0147 c=20.1628 alpha=90.26 beta=90.51 gamma=118.39
Space group P1 (No. 1)
Asymmetric unit:
Li1 0.0000 0.0000 0.0000
Li2 0.0009 0.0197 0.5017
Li3 0.2773 0.2826 0.7551
Li4 0.2795 0.2708 0.2539
Li5 0.5000 0.4991 0.9992
Li6 0.5117 0.5082 0.5016
Li7 0.7688 0.7806 0.2531
Li8 0.7762 0.7839 0.7550
Ti1 0.1239 0.6429 0.1273
Ti2 0.1392 0.6468 0.6277
Co1 0.3008 0.4819 0.3775
Co2 0.3019 0.4808 0.8774
Co3 0.4711 0.3124 0.1271
Co4 0.4725 0.3109 0.6284
Co5 0.6378 0.1453 0.3775
Co6 0.6376 0.1451 0.8774
Co7 0.8004 0.9821 0.1261
Co8 0.8034 0.9806 0.6283
Co9 0.9728 0.8095 0.8774
Co10 0.9741 0.8088 0.3776
O1 0.1040 0.9550 0.1835
O2 0.1049 0.9567 0.6837
O3 0.1612 0.3233 0.0728
O4 0.1735 0.3377 0.5725
O5 0.3084 0.1517 0.9264
O6 0.3096 0.8178 0.8309
O7 0.3213 0.8301 0.3292
O8 0.3291 0.1631 0.4303
O9 0.4496 0.6119 0.6837
O10 0.4563 0.6200 0.1805
O11 0.4690 0.9832 0.0792
O12 0.4760 0.9846 0.5799
O13 0.6198 0.4546 0.3249
O14 0.6309 0.4748 0.8285
O15 0.6439 0.8153 0.9264
O16 0.6559 0.8364 0.4303
O17 0.8002 0.3244 0.1769
O18 0.8008 0.3080 0.6762
O19 0.8281 0.6674 0.0687
O20 0.8290 0.6819 0.5726
O21 0.9465 0.1279 0.3248
O22 0.9535 0.4602 0.4260
O23 0.9654 0.4726 0.9238
O24 0.9665 0.1385 0.8285

Computed properties:
- energy of formation (meV per atom) = -1788.9
- E_tot (eV per atom) = -6.06

~~~~~

Entry 1:
The following is a r²SCAN calculation of a geometry-optimized K3P6N11 structure, from Materials Project.

Lattice parameters (Å, degrees): 10.3930 10.3930 10.3930 90.00 90.00 90.00
With the nearest neighbours (Å) after each atom.
Fractional coordinates of all 80 atoms:
K: 0.0009 0.4991 0.5009  6 N 2.76-2.98
K: 0.1250 0.6250 0.8750  8 N 3.09-3.28
K: 0.2491 0.2509 0.7491  6 N 2.76-2.98
K: 0.2509 0.7491 0.2491  6 N 2.76-2.98
K: 0.3750 0.3750 0.3750  8 N 3.09-3.28
K: 0.4991 0.5009 0.0009  6 N 2.76-2.98
K: 0.5009 0.0009 0.4991  6 N 2.76-2.98
K: 0.6250 0.8750 0.1250  8 N 3.09-3.28
K: 0.7491 0.2491 0.2509  6 N 2.76-2.98
K: 0.7509 0.7509 0.7509  6 N 2.76-2.98
K: 0.8750 0.1250 0.6250  8 N 3.09-3.28
K: 0.9991 0.9991 0.9991  6 N 2.76-2.98
P: 0.0336 0.8221 0.5514  4 N 1.58-1.71
P: 0.0514 0.4664 0.1779  4 N 1.58-1.71
P: 0.0721 0.2164 0.3014  4 N 1.58-1.71
P: 0.1779 0.0514 0.4664  4 N 1.58-1.71
P: 0.1986 0.9279 0.7164  4 N 1.58-1.71
P: 0.2164 0.3014 0.0721  4 N 1.58-1.71
P: 0.2836 0.6986 0.5721  4 N 1.58-1.71
P: 0.3014 0.0721 0.2164  4 N 1.58-1.71
P: 0.3221 0.9486 0.9664  4 N 1.58-1.71
P: 0.4279 0.7836 0.8014  4 N 1.58-1.71
P: 0.4486 0.5336 0.6779  4 N 1.58-1.71
P: 0.4664 0.1779 0.0514  4 N 1.58-1.71
P: 0.5336 0.6779 0.4486  4 N 1.58-1.71
P: 0.5514 0.0336 0.8221  4 N 1.58-1.71
P: 0.5721 0.2836 0.6986  4 N 1.58-1.71
P: 0.6779 0.4486 0.5336  4 N 1.58-1.71
P: 0.6986 0.5721 0.2836  4 N 1.58-1.71
P: 0.7164 0.1986 0.9279  4 N 1.58-1.71
P: 0.7836 0.8014 0.4279  4 N 1.58-1.71
P: 0.8014 0.4279 0.7836  4 N 1.58-1.71
P: 0.8221 0.5514 0.0336  4 N 1.58-1.71
P: 0.9279 0.7164 0.1986  4 N 1.58-1.71
P: 0.9486 0.9664 0.3221  4 N 1.58-1.71
P: 0.9664 0.3221 0.9486  4 N 1.58-1.71
N: 0.0137 0.3551 0.2786  2 P 1.58-1.61
N: 0.0286 0.6051 0.2363  2 P 1.58-1.61
N: 0.0464 0.9536 0.4536  3 P 1.71
N: 0.0527 0.8750 0.6973  2 P 1.62
N: 0.1051 0.2637 0.9714  2 P 1.58-1.61
N: 0.1250 0.1973 0.4473  2 P 1.62
N: 0.1449 0.7214 0.5137  2 P 1.58-1.61
N: 0.1973 0.4473 0.1250  2 P 1.62
N: 0.2036 0.2036 0.2036  3 P 1.71
N: 0.2214 0.9863 0.8551  2 P 1.58-1.61
N: 0.2363 0.0286 0.6051  2 P 1.58-1.61
N: 0.2637 0.9714 0.1051  2 P 1.58-1.61
N: 0.2786 0.0137 0.3551  2 P 1.58-1.61
N: 0.2964 0.7964 0.7036  3 P 1.71
N: 0.3027 0.5527 0.6250  2 P 1.62
N: 0.3551 0.2786 0.0137  2 P 1.58-1.61
N: 0.3750 0.8027 0.9473  2 P 1.62
N: 0.3949 0.7363 0.4714  2 P 1.58-1.61
N: 0.4473 0.1250 0.1973  2 P 1.62
N: 0.4536 0.0464 0.9536  3 P 1.71
N: 0.4714 0.3949 0.7363  2 P 1.58-1.61
N: 0.4863 0.6449 0.7786  2 P 1.58-1.61
N: 0.5137 0.1449 0.7214  2 P 1.58-1.61
N: 0.5286 0.8949 0.7637  2 P 1.58-1.61